Write out the lines further down from the one with "-4.2420" to the one with "0.7513" exactly, please.
No. 1
19
Properties=species:S:1:pos:R:3 method="wB97M-V/def2-TZVPD" lumo_energy_ev=1.05 gap_ev=10.48 smiles=C[C@H]1CO[C@@H](C)C1
O -1.2544 0.6987 0.9289
C 0.9195 -0.2892 0.7440
C 1.7680 0.3630 -0.3576
C 0.0391 0.7024 1.5295
C -1.3461 -0.3135 -0.0749
C -0.1664 -1.2553 0.2306
C -1.3406 0.3137 -1.4985
H -2.3187 -0.7846 0.0531
H 0.1328 -1.8502 -0.6380
H 2.2871 -0.4040 -0.9466
H 2.5345 1.0150 0.0807
H 1.1701 0.9696 -1.0475
H -0.4142 -1.9535 1.0426
H -0.0542 0.3812 2.5812
H 0.4400 1.7273 1.5161
H -2.3443 0.4112 -1.9350
H 1.6058 -0.8014 1.4334
H -0.9276 1.3226 -1.4293
H -0.7305 -0.2530 -2.2128

No. 2
14
Properties=species:S:1:pos:R:3 method="wB97M-V/def2-TZVPD" lumo_energy_ev=0.96 gap_ev=10.05
O -0.8945 -0.8688 0.9572
O 0.9312 0.7452 0.9302
N -0.4159 -1.6262 -0.0847
N 0.4615 1.6839 -0.0122
C 1.7093 -0.2979 0.2166
C 0.7637 -1.2764 -0.3039
C -0.7164 1.3990 -0.2595
C -1.6682 0.1108 0.1994
H 1.0547 -1.9140 -1.2240
H 2.4594 -0.6213 0.9315
H -1.1476 2.2282 -0.8827
H -2.1587 -0.3325 -0.6896
H 2.2829 0.3046 -0.5972
H -2.6617 0.4656 0.8189

No. 3
139
Properties=species:S:1:pos:R:3 method="wB97M-V/def2-TZVPD" lumo_energy_ev=0.51 gap_ev=9.14 smiles=COC[C@H](C)N.COC[C@H](C)N.COC[C@H](C)N.COC[C@H](C)N.COC[C@H](C)N.COC[C@H](C)N.COC[C@H](C)N.OCCO.OCCO
O 2.5310 -2.8475 0.4972
O -1.9902 2.5745 0.5021
O 0.7194 0.4843 5.1549
O -3.2146 -0.9273 -5.2684
O 2.0407 4.6930 -1.8653
O -2.5718 -4.7566 -0.7667
O 2.1755 2.7219 3.4658
O 1.2627 0.1303 2.4257
O -5.5715 2.2113 4.9920
O 0.2149 -1.4351 0.0118
O 4.9173 -3.6057 -4.2420
N 3.0029 1.5638 -3.5380
N -2.3369 0.7175 5.8828
N 0.3623 -1.5730 -4.7706
N 2.5380 -1.2579 -2.6727
N -2.2261 -2.8519 1.3194
N 3.9420 -0.7131 1.6874
N 0.4315 5.3520 0.8259
C 2.8590 -2.9606 1.8974
C 2.0302 6.0643 -2.2047
C -1.2192 4.5158 2.3929
C -4.6779 1.3768 5.6833
C 3.2536 2.2019 -1.2152
C -4.0683 -0.4904 -6.3105
C -1.0503 -1.3805 -4.4574
C -3.7435 -1.3050 0.1639
C -1.0944 -0.1718 -3.5205
C 1.0645 2.7262 4.3519
C 4.8307 -4.6501 -5.1782
C 1.2316 1.7765 5.5296
C -0.0316 0.2088 1.7958
C -3.3890 -2.7568 0.4104
C -3.1175 -3.4680 -0.9182
C -6.8894 1.7397 4.9947
C -1.1090 3.5875 0.0614
C -0.3189 4.1336 1.2246
C 0.1226 -0.0593 0.3323
C 4.5496 -2.1335 3.5862
C 4.0806 -2.1084 2.1355
C -3.5100 -5.7249 -0.3734
C 3.6558 -3.1076 -3.8644
C 3.8410 -1.8712 -3.0114
C 2.4648 2.4467 -2.4854
C 4.7334 -2.1228 -1.8247
C -3.2114 1.1361 3.6451
C 2.4944 3.8855 -2.9406
C -2.9960 2.2801 -0.4272
C -3.2941 1.5283 5.1182
C -1.8971 -1.1692 -5.6782
C 1.8079 -3.9554 0.0320
H -2.6082 2.2747 -1.4524
H -3.8570 -5.5989 0.6601
H 2.1124 1.9063 2.9445
H -3.0952 -0.8313 -0.5859
H 3.7718 -1.6869 4.2132
H 4.1410 -5.4209 -4.8005
H 0.6772 -0.0643 5.9449
H -2.0686 5.0979 2.0184
H 5.4655 -1.5587 3.6749
H 0.8471 3.7243 4.7202
H -1.4321 -2.2362 -3.9001
H -2.1072 -0.0407 -3.1298
H 3.1116 -3.8895 -3.3034
H -7.4334 2.2829 4.2215
H 2.9160 0.6104 -3.1648
H -2.9604 2.5791 5.0768
H 3.2385 1.1219 -1.0303
H 3.5314 -0.7148 0.7513
H -1.5903 3.6619 2.9609
H -4.0605 -3.5047 -1.4899
H 0.6358 2.1503 6.3735
H 1.9686 -1.7729 -2.0017
H -1.5084 -0.3709 -6.3252
H -6.9457 0.6702 4.7713
H 0.9256 0.5504 -0.1079
H 2.3678 1.5868 -4.3343
H 1.0811 5.0310 0.1067
H 1.1919 6.2954 -2.8725
H 1.8990 4.0618 -3.8487
H 1.3932 2.2176 -2.3326
H 3.0566 -2.8881 -4.7639
H -0.4136 3.1671 -0.6821
H 4.4919 -3.0296 -1.2628
H -3.3997 1.2862 -0.2194
H -4.2600 -3.2419 0.8642
H -2.4039 -2.8965 -1.5177
H -0.4838 1.1959 1.9377
H 0.5693 -2.4674 -5.2162
H 2.4183 -4.8613 -0.0882
H 4.2693 2.5896 -1.2399
H -2.1906 1.1660 6.7816
H -0.6974 5.1511 3.1088
H -4.6429 1.6311 6.7561
H 3.1695 -0.2775 2.2004
H 1.0327 -1.8395 0.3453
H -0.6795 -0.5405 2.2631
H -3.8483 2.9668 -0.3338
H 1.9863 -2.6158 2.4657
H -0.7679 0.2829 -0.2002
H 4.9179 -2.5049 1.5469
H -1.4671 -2.4126 0.7901
H 5.7394 -2.3022 -2.2118
H -2.1886 1.2549 3.2795
H 1.4547 -3.7282 -0.9766
H -4.0019 0.5950 -6.4164
H -3.0581 -6.7108 -0.4676
H -3.6395 -0.6892 1.0591
H 2.2685 1.7512 5.8747
H 2.9871 6.3614 -2.6458
H 1.8923 6.6376 -1.2876
H 3.5320 4.1746 -3.1763
H -1.9839 -3.8426 1.3034
O 4.9173 -3.6057 -4.2420
N 3.0029 1.5638 -3.5380
N -2.3369 0.7175 5.8828
N 0.3623 -1.5730 -4.7706
N 2.5380 -1.2579 -2.6727
N -2.2261 -2.8519 1.3194
N 3.9420 -0.7131 1.6874
N 0.4315 5.3520 0.8259
C 2.8590 -2.9606 1.8974
C 2.0302 6.0643 -2.2047
C -1.2192 4.5158 2.3929
C -4.6779 1.3768 5.6833
C 3.2536 2.2019 -1.2152
C -4.0683 -0.4904 -6.3105
C -1.0503 -1.3805 -4.4574
C -3.7435 -1.3050 0.1639
C -1.0944 -0.1718 -3.5205
C 1.0645 2.7262 4.3519
C 4.8307 -4.6501 -5.1782
C 1.2316 1.7765 5.5296
C -0.0316 0.2088 1.7958
C -3.3890 -2.7568 0.4104
C -3.1175 -3.4680 -0.9182
C -6.8894 1.7397 4.9947
C -1.1090 3.5875 0.0614
C -0.3189 4.1336 1.2246
C 0.1226 -0.0593 0.3323
C 4.5496 -2.1335 3.5862
C 4.0806 -2.1084 2.1355
C -3.5100 -5.7249 -0.3734
C 3.6558 -3.1076 -3.8644
C 3.8410 -1.8712 -3.0114
C 2.4648 2.4467 -2.4854
C 4.7334 -2.1228 -1.8247
C -3.2114 1.1361 3.6451
C 2.4944 3.8855 -2.9406
C -2.9960 2.2801 -0.4272
C -3.2941 1.5283 5.1182
C -1.8971 -1.1692 -5.6782
C 1.8079 -3.9554 0.0320
H -2.6082 2.2747 -1.4524
H -3.8570 -5.5989 0.6601
H 2.1124 1.9063 2.9445
H -3.0952 -0.8313 -0.5859
H 3.7718 -1.6869 4.2132
H 4.1410 -5.4209 -4.8005
H 0.6772 -0.0643 5.9449
H -2.0686 5.0979 2.0184
H 5.4655 -1.5587 3.6749
H 0.8471 3.7243 4.7202
H -1.4321 -2.2362 -3.9001
H -2.1072 -0.0407 -3.1298
H 3.1116 -3.8895 -3.3034
H -7.4334 2.2829 4.2215
H 2.9160 0.6104 -3.1648
H -2.9604 2.5791 5.0768
H 3.2385 1.1219 -1.0303
H 3.5314 -0.7148 0.7513